Wednesday, April 3, 2013

Someone pasted records of crystals at this point:
Diffraction record for Nd4ErSe7. The powder diffractogram is computed, not measured: it uses a PBE-relaxed structure and Cu Kα.
Neutral-atom scattering factors, no anomalous dispersion.

Crystal structure
Unit cell a=13.757 b=4.082 c=12.446 alpha=90.00 beta=104.95 gamma=90.00
Space group Cm (No. 8)
Symmetry-distinct sites (fractional):
1 Nd 0.000 0.000 0.000 (multiplicity 2)
2 Nd 0.087 0.500 0.382 (multiplicity 2)
3 Nd 0.189 0.000 0.767 (multiplicity 2)
4 Nd 0.387 0.500 0.571 (multiplicity 2)
5 Er 0.275 0.500 0.151 (multiplicity 2)
6 Se 0.049 0.500 0.625 (multiplicity 2)
7 Se 0.132 0.500 0.931 (multiplicity 2)
8 Se 0.155 0.000 0.222 (multiplicity 2)
9 Se 0.226 0.000 0.523 (multiplicity 2)
10 Se 0.349 0.500 0.790 (multiplicity 2)
11 Se 0.382 0.000 0.078 (multiplicity 2)
12 Se 0.425 0.500 0.352 (multiplicity 2)

Most intense lines, 2θ = 10–80°, by intensity:
- d = 2.896 Å, intensity 100, (3 1 -2)

Foundations: The Book of Ezra - Day 8

Ezra is grieved to find that the people have intermarried with women of the land – women from tribes God had explicitly told His people to stay away from. This wasn’t because God was hateful or cruel or because he was being exclusive in His love. God always accepted outsiders as His people if they would dedicate themselves to His ways. But the nations listed in Deuteronomy 7 and Ezra 9 were extremely wicked and especially hostile towards Israel. God had commanded His people never to intermarry with people from other nations who were not willing to give up their idols to serve the Lord God only. Intermarrying with pagans was dangerous because it would lead children and families away from Yahweh. Ezra is appalled to see that the people have so callously disobeyed God’s law. His heartfelt prayer in Ezra 9 gives the reader a look into Ezra’s heart and his deep desire for holiness.

Ezra 10 paints a picture of national repentance; even the weather is sad, as the people assemble in the rain to confess their sin before each other and the Lord. In repentance, all agree to end the foreign marriages. We are not given specific details about what happens to these women and their children – whether they are given any form of support and protection or even about the legitimacy of the marriages to begin with. The reader must keep in mind that these were women who refused to give up their idols to follow the Lord; if they had, they would have been grafted into the Israelite nation. This is a descriptive passage, describing something that had to be done at the time because of the people’s national commitment to Yahweh. It is not a justification for divorce today, as Paul makes it clear in 1 Corinthians 7 that Christians are not to divorce their unbelieving spouses.

Whatever the case, marriage and family is important to God. He designed for marriage to represent Himself. He desires to be central to marriage and family life. He commissions married couples to set themselves to raising godly children. He calls married couples to faithfulness and humility, love and respect. As believers, our marriages can be great testimonies to God’s character, or considerable stumbling blocks to the gospel. Satan has gained much ground through broken marriages; he is an expert at ruining marriage and family, even within the church. We need to take back the ground he has stolen.

_Inserted here: data records_
=====
Simulated X-ray powder pattern of Ce2Mg17 for CuKα, from the PBE geometry in the Materials Project.

The 12 most intense peaks (10 to 80 degrees two-theta), by angle:
13.20°, d = 6.709 Å, rel. 34, (1 0 1); 17.19°, d = 5.159 Å, rel. 34, (1 1 0); 24.60°, d = 3.619 Å, rel. 71, (1 1 2); 30.00°, d = 2.979 Å, rel. 50, (3 0 0); 34.78°, d = 2.580 Å, rel. 48, (2 2 0); 34.92°, d = 2.569 Å, rel. 100, (3 0 2); 35.35°, d = 2.539 Å, rel. 25, (0 0 4); 50.11°, d = 1.820 Å, rel. 21, (4 1 2); 50.43°, d = 1.810 Å, rel. 21, (2 2 4); 56.49°, d = 1.629 Å, rel. 24, (3 3 2); 62.34°, d = 1.489 Å, rel. 18, (6 0 0); 63.18°, d = 1.472 Å, rel. 21, (3 0 6)

Cell and atoms:
a = 10.3190 Å, b = 10.3190 Å, c = 10.1565 Å
α = 90.00°, β = 90.00°, γ = 120.00°
Space group P6_3/mmc (No. 194)
Inequivalent atoms, fractional coordinates:
Ce 0.0000 0.0000 0.2500 [2 per cell]
Ce 0.3333 0.6667 0.2500 [2 per cell]
Mg 0.0000 0.5000 0.0000 [6 per cell]
Mg 0.0049 0.3378 0.7500 [12 per cell]
Mg 0.1652 0.3305 0.0021 [12 per cell]
Mg 0.3333 0.6667 0.6053 [4 per cell]

---

Simulated X-ray powder pattern of Ce3Mg for CuKα, from the PBE geometry in the Materials Project.

The 12 most intense peaks (10 to 80 degrees two-theta), by angle:
14.82°, d = 5.978 Å, rel. 7, (1 0 0); 22.28°, d = 3.991 Å, rel. 20, (1 0 1); 25.81°, d = 3.451 Å, rel. 9, (1 1 0); 29.89°, d = 2.989 Å, rel. 24, (2 0 0); 33.44°, d = 2.680 Å, rel. 24, (0 0 2); 34.35°, d = 2.611 Å, rel. 100, (2 0 1); 43.46°, d = 2.082 Å, rel. 6, (2 1 1); 45.46°, d = 1.995 Å, rel. 17, (2 0 2); 53.06°, d = 1.726 Å, rel. 21, (2 2 0); 60.36°, d = 1.534 Å, rel. 19, (2 0 3); 64.19°, d = 1.451 Å, rel. 22, (2 2 2); 64.76°, d = 1.440 Å, rel. 16, (4 0 1)

Cell and atoms:
a = 6.9029 Å, b = 6.9029 Å, c = 5.3598 Å
α = 90.00°, β = 90.00°, γ = 120.00°
Space group P6_3/mmc (No. 194)
Inequivalent atoms, fractional coordinates:
Ce 0.1677 0.3354 0.2500 [6 per cell]
Mg 0.3333 0.6667 0.7500 [2 per cell]

---

Simulated X-ray powder pattern of CeMg5 for CuKα, from the PBE geometry in the Materials Project.

The 12 most intense peaks (10 to 80 degrees two-theta), by angle:
16.18°, d = 5.478 Å, rel. 26, (0 0 3); 19.02°, d = 4.666 Å, rel. 54, (1 0 1); 21.22°, d = 4.187 Å, rel. 43, (0 1 2); 28.43°, d = 3.139 Å, rel. 21, (1 0 4); 31.85°, d = 2.809 Å, rel. 33, (1 1 0); 32.70°, d = 2.739 Å, rel. 27, (0 0 6); 35.92°, d = 2.500 Å, rel. 100, (1 1 3); 46.30°, d = 1.961 Å, rel. 23, (1 1 6); 56.76°, d = 1.622 Å, rel. 16, (3 0 0); 60.47°, d = 1.531 Å, rel. 21, (1 1 9); 67.06°, d = 1.396 Å, rel. 19, (3 0 6); 69.02°, d = 1.361 Å, rel. 16, (2 2 3)

Cell and atoms:
a = 5.6188 Å, b = 5.6188 Å, c = 16.4330 Å
α = 90.00°, β = 90.00°, γ = 120.00°
Space group R32 (No. 155, hexagonal axes)
Inequivalent atoms, fractional coordinates:
Ce 0.0000 0.0000 0.0000 [3 per cell]
Mg 0.0000 0.0000 0.3334 [6 per cell]
Mg 0.0000 0.6686 0.5000 [9 per cell]

---

Simulated X-ray powder pattern of Ce2Mg for CuKα, from the PBE geometry in the Materials Project.
=====

1.  Spend time today praying for marriage and family. Pray for your own marriage (if you are married, or your future marriage if you hope to be), the marriages of family and friends, and also for marriage within the church.
a.  Pray for your own marriage.
-   Pray for your spouse: relationship with the Lord; sexual purity; wisdom to make decisions; health; humility; integrity; etc
-   Ask God to show you areas of selfishness within your marriage. Are you willing to repent of these things and surrender yourself to Him?
-    What is one thing you want God to do in your marriage? Pray for this thing!
-     What is one way you can bless your spouse today? Do it!
-    Pray that your marriage would strengthen your family and show your kids the character of God. Pray that they would want to commit fully to Him because of what they see in their parents’ marriage.

b. Pray for marriages in your family.
-   Pray for healing and restoration where there is brokenness.
-   Pray for blessing and protection.
-   Pray that these marriages would be a testament to God’s goodness.

c.  Pray for marriages in the church.
-   Pray that through God’s restoration and strengthening, Christians would take back ground that the enemy has stolen.
-   Pray for humility in the home, that spouses would seek to serve each other.
-   Pray that men would love their wives as Christ loves the church.
-   Pray that women would honour their husbands; that they would not use manipulation to control their husbands.
-   Pray that married couples would speak well of one another.
-   Pray that God’s moral boundaries would be embraced by the next generation because of the Christ-centred marriages they witness within their homes.